Request =
Next, transcribe the whole of the block further down without altering anything.

Excerpt =
********
Entry from OMol25: a 14-piece molecular cluster, C52H93Br26IO6 overall in a non-equilibrium geometry (ωB97M-V/def2-TZVPD).

The geometry in XYZ format:
```
178
C52H93Br26IO6 | OMol25 | ωB97M-V/def2-TZVPD
C -0.789 2.356 -1.048
C -0.203 2.951 -2.369
O 0.104 1.965 -3.371
C 1.036 1.065 -2.922
C 0.713 -0.162 -2.512
C -0.777 -0.536 -2.561
I -1.451 -1.846 -0.980
C -1.115 -1.100 -4.016
C 0.122 -1.678 -4.765
C 1.862 -1.058 -2.081
O 1.767 -2.027 -1.440
C 3.299 -0.715 -2.562
C 4.329 -1.881 -2.482
C 4.793 -1.994 -0.979
C 5.588 -0.701 -0.553
C 5.232 -0.108 0.876
C 5.025 1.462 0.707
C 5.774 2.323 1.795
C 7.125 2.931 1.227
C 7.192 4.489 1.162
C 6.144 5.152 0.199
C 6.764 5.590 -1.184
C 7.153 7.096 -1.305
O 6.141 8.007 -0.917
C 5.522 8.617 -2.038
C 3.639 0.495 -3.012
C 5.020 0.911 -3.549
C 5.170 0.790 -5.103
O 3.928 0.520 -5.791
C 4.159 -0.629 -6.533
O 3.621 -1.593 -6.227
C 2.512 1.565 -2.973
O 2.813 2.692 -3.010
H -0.697 3.160 -0.278
H -0.240 1.483 -0.643
H -1.869 2.116 -1.114
H 0.616 3.637 -2.075
H -1.001 3.598 -2.803
H -1.390 0.386 -2.473
H -1.509 -0.244 -4.619
H -1.947 -1.841 -3.991
H -0.271 -2.169 -5.695
H 0.687 -2.450 -4.202
H 0.828 -0.899 -5.137
H 3.759 -2.794 -2.776
H 5.192 -1.762 -3.163
H 3.935 -2.160 -0.300
H 5.502 -2.848 -0.916
H 5.410 0.146 -1.245
H 6.690 -0.888 -0.546
H 4.302 -0.563 1.288
H 6.089 -0.225 1.577
H 3.934 1.682 0.777
H 5.386 1.824 -0.277
H 5.909 1.803 2.767
H 5.097 3.186 2.017
H 7.358 2.553 0.209
H 7.922 2.617 1.946
H 8.214 4.741 0.777
H 7.128 4.979 2.160
H 5.252 4.527 -0.022
H 5.760 6.070 0.698
H 5.981 5.384 -1.954
H 7.655 4.984 -1.468
H 8.117 7.334 -0.790
H 7.350 7.280 -2.393
H 6.249 9.103 -2.725
H 4.825 9.411 -1.681
H 4.877 7.868 -2.563
H 5.227 1.936 -3.177
H 5.806 0.263 -3.100
H 5.650 1.710 -5.518
H 5.889 -0.034 -5.339
H 4.875 -0.648 -7.384
Br -3.642 -0.375 3.498
C -4.879 -1.106 2.183
C -5.037 -2.596 2.344
Br -3.501 -3.549 1.626
H -4.505 -0.819 1.203
H -5.823 -0.599 2.370
H -5.889 -2.955 1.767
H -5.149 -2.909 3.379
Br -2.388 6.159 -0.247
C -1.399 5.854 1.406
C 0.032 6.305 1.276
Br 1.067 5.012 0.244
H -1.497 4.798 1.644
H -1.920 6.439 2.161
H 0.506 6.346 2.258
H 0.137 7.268 0.784
Br -1.951 8.222 3.999
C -0.973 7.904 5.654
C 0.458 8.348 5.536
Br 1.518 7.075 4.509
H -1.077 6.848 5.886
H -1.496 8.489 6.408
H 0.930 8.383 6.516
H 0.567 9.312 5.052
Br -1.888 -4.814 4.925
C -1.587 -3.146 5.882
C -2.392 -3.094 7.154
Br -4.268 -2.704 6.791
H -1.819 -2.338 5.192
H -0.521 -3.134 6.103
H -2.052 -2.278 7.790
H -2.365 -4.023 7.718
Br -3.316 -4.915 -3.769
C -2.729 -5.348 -1.964
C -3.443 -6.567 -1.445
Br -5.268 -6.147 -0.913
H -2.890 -4.461 -1.358
H -1.659 -5.537 -2.046
H -2.959 -6.939 -0.543
H -3.506 -7.371 -2.174
Br -2.507 -5.075 10.317
C -4.444 -5.286 10.299
C -4.835 -6.717 10.048
Br -4.629 -7.182 8.169
H -4.831 -4.597 9.552
H -4.773 -4.965 11.286
H -5.891 -6.869 10.265
H -4.246 -7.429 10.619
Br -4.705 -8.173 -5.506
C -6.017 -6.942 -4.751
C -7.413 -7.283 -5.198
Br -7.731 -6.704 -7.031
H -5.710 -5.940 -5.033
H -5.923 -7.055 -3.671
H -8.149 -6.746 -4.599
H -7.628 -8.347 -5.159
Br 0.762 -5.906 -4.545
C -0.461 -6.632 -5.879
C -0.646 -8.116 -5.706
Br 0.889 -9.108 -6.382
H -0.065 -6.360 -6.853
H -1.402 -6.110 -5.716
H -1.492 -8.466 -6.295
H -0.783 -8.412 -4.670
Br -1.414 -3.467 -7.110
C -3.043 -3.164 -8.132
C -4.133 -4.102 -7.691
Br -3.848 -5.892 -8.402
H -2.787 -3.265 -9.182
H -3.319 -2.130 -7.930
H -5.097 -3.788 -8.089
H -4.206 -4.196 -6.611
Br 7.618 11.493 -3.532
C 8.516 12.419 -2.074
C 8.144 11.830 -0.740
Br 6.368 12.407 -0.191
H 8.265 13.471 -2.162
H 9.580 12.286 -2.267
********

Written answer =
Entry from OMol25: a 14-piece molecular cluster, C52H93Br26IO6 overall in a non-equilibrium geometry (ωB97M-V/def2-TZVPD).

The geometry in XYZ format:
```
178
C52H93Br26IO6 | OMol25 | ωB97M-V/def2-TZVPD
C -0.789 2.356 -1.048
C -0.203 2.951 -2.369
O 0.104 1.965 -3.371
C 1.036 1.065 -2.922
C 0.713 -0.162 -2.512
C -0.777 -0.536 -2.561
I -1.451 -1.846 -0.980
C -1.115 -1.100 -4.016
C 0.122 -1.678 -4.765
C 1.862 -1.058 -2.081
O 1.767 -2.027 -1.440
C 3.299 -0.715 -2.562
C 4.329 -1.881 -2.482
C 4.793 -1.994 -0.979
C 5.588 -0.701 -0.553
C 5.232 -0.108 0.876
C 5.025 1.462 0.707
C 5.774 2.323 1.795
C 7.125 2.931 1.227
C 7.192 4.489 1.162
C 6.144 5.152 0.199
C 6.764 5.590 -1.184
C 7.153 7.096 -1.305
O 6.141 8.007 -0.917
C 5.522 8.617 -2.038
C 3.639 0.495 -3.012
C 5.020 0.911 -3.549
C 5.170 0.790 -5.103
O 3.928 0.520 -5.791
C 4.159 -0.629 -6.533
O 3.621 -1.593 -6.227
C 2.512 1.565 -2.973
O 2.813 2.692 -3.010
H -0.697 3.160 -0.278
H -0.240 1.483 -0.643
H -1.869 2.116 -1.114
H 0.616 3.637 -2.075
H -1.001 3.598 -2.803
H -1.390 0.386 -2.473
H -1.509 -0.244 -4.619
H -1.947 -1.841 -3.991
H -0.271 -2.169 -5.695
H 0.687 -2.450 -4.202
H 0.828 -0.899 -5.137
H 3.759 -2.794 -2.776
H 5.192 -1.762 -3.163
H 3.935 -2.160 -0.300
H 5.502 -2.848 -0.916
H 5.410 0.146 -1.245
H 6.690 -0.888 -0.546
H 4.302 -0.563 1.288
H 6.089 -0.225 1.577
H 3.934 1.682 0.777
H 5.386 1.824 -0.277
H 5.909 1.803 2.767
H 5.097 3.186 2.017
H 7.358 2.553 0.209
H 7.922 2.617 1.946
H 8.214 4.741 0.777
H 7.128 4.979 2.160
H 5.252 4.527 -0.022
H 5.760 6.070 0.698
H 5.981 5.384 -1.954
H 7.655 4.984 -1.468
H 8.117 7.334 -0.790
H 7.350 7.280 -2.393
H 6.249 9.103 -2.725
H 4.825 9.411 -1.681
H 4.877 7.868 -2.563
H 5.227 1.936 -3.177
H 5.806 0.263 -3.100
H 5.650 1.710 -5.518
H 5.889 -0.034 -5.339
H 4.875 -0.648 -7.384
Br -3.642 -0.375 3.498
C -4.879 -1.106 2.183
C -5.037 -2.596 2.344
Br -3.501 -3.549 1.626
H -4.505 -0.819 1.203
H -5.823 -0.599 2.370
H -5.889 -2.955 1.767
H -5.149 -2.909 3.379
Br -2.388 6.159 -0.247
C -1.399 5.854 1.406
C 0.032 6.305 1.276
Br 1.067 5.012 0.244
H -1.497 4.798 1.644
H -1.920 6.439 2.161
H 0.506 6.346 2.258
H 0.137 7.268 0.784
Br -1.951 8.222 3.999
C -0.973 7.904 5.654
C 0.458 8.348 5.536
Br 1.518 7.075 4.509
H -1.077 6.848 5.886
H -1.496 8.489 6.408
H 0.930 8.383 6.516
H 0.567 9.312 5.052
Br -1.888 -4.814 4.925
C -1.587 -3.146 5.882
C -2.392 -3.094 7.154
Br -4.268 -2.704 6.791
H -1.819 -2.338 5.192
H -0.521 -3.134 6.103
H -2.052 -2.278 7.790
H -2.365 -4.023 7.718
Br -3.316 -4.915 -3.769
C -2.729 -5.348 -1.964
C -3.443 -6.567 -1.445
Br -5.268 -6.147 -0.913
H -2.890 -4.461 -1.358
H -1.659 -5.537 -2.046
H -2.959 -6.939 -0.543
H -3.506 -7.371 -2.174
Br -2.507 -5.075 10.317
C -4.444 -5.286 10.299
C -4.835 -6.717 10.048
Br -4.629 -7.182 8.169
H -4.831 -4.597 9.552
H -4.773 -4.965 11.286
H -5.891 -6.869 10.265
H -4.246 -7.429 10.619
Br -4.705 -8.173 -5.506
C -6.017 -6.942 -4.751
C -7.413 -7.283 -5.198
Br -7.731 -6.704 -7.031
H -5.710 -5.940 -5.033
H -5.923 -7.055 -3.671
H -8.149 -6.746 -4.599
H -7.628 -8.347 -5.159
Br 0.762 -5.906 -4.545
C -0.461 -6.632 -5.879
C -0.646 -8.116 -5.706
Br 0.889 -9.108 -6.382
H -0.065 -6.360 -6.853
H -1.402 -6.110 -5.716
H -1.492 -8.466 -6.295
H -0.783 -8.412 -4.670
Br -1.414 -3.467 -7.110
C -3.043 -3.164 -8.132
C -4.133 -4.102 -7.691
Br -3.848 -5.892 -8.402
H -2.787 -3.265 -9.182
H -3.319 -2.130 -7.930
H -5.097 -3.788 -8.089
H -4.206 -4.196 -6.611
Br 7.618 11.493 -3.532
C 8.516 12.419 -2.074
C 8.144 11.830 -0.740
Br 6.368 12.407 -0.191
H 8.265 13.471 -2.162
H 9.580 12.286 -2.267